### Job
Work out how many lines underneath have the word "Alexandria" in them; a number is enough.
### Listing
/*
This entry pairs a crystal structure of PWSO2 with its calculated powder diffraction line list. Radiation: Cu Ka. Structure: a crystal structure in Alexandria, relaxed with PBE+U.

Top 6 peaks for 2θ = 5–70°, most intense first:
| h k l | d_spacing | Position (°2θ) | I/Imax |
| --- | --- | --- | --- |
| 1 0 1 | 3.100 | 28.80 | 100 |
| 1 0 0 | 3.789 | 23.48 | 78 |
| 0 0 1 | 5.390 | 16.45 | 61 |
| 1 1 0 | 2.680 | 33.44 | 45 |
| 0 0 2 | 2.695 | 33.24 | 40 |
| 1 0 2 | 2.196 | 41.10 | 37 |

Crystal structure
Unit cell a=3.7895 b=3.7895 c=5.3900 alpha=90.00 beta=90.00 gamma=90.00
Space group P4/mmm (No. 123)
Unique sites:
P (0.0000, 0.0000, 0.0000) (multiplicity 1)
W (0.0000, 0.0000, 0.5000) (multiplicity 1)
S (0.5000, 0.5000, 0.0000) (multiplicity 1)
O (0.0000, 0.5000, 0.5000) (multiplicity 2)


No. 1
Calculated powder diffractogram
Compound: Nd5CoTe4
Radiation: Cu Ka
Structure: a DFT-relaxed cell (GGA-PBE, Alexandria)
Peak positions follow from Bragg's law for the DFT cell and can differ from measured ones.

Main lines, most intense first (10 to 90 degrees two-theta):
d_spacing, 2θ/deg, I/Imax
3.128, 28.54, 100
2.226, 40.52, 78
3.169, 28.16, 58
1.814, 50.31, 33
2.212, 40.80, 31
1.414, 66.10, 18
2.518, 35.66, 16
1.288, 73.51, 16
1.280, 74.09, 12
1.402, 66.69, 11
1.575, 58.61, 10
2.925, 30.56, 10

Lattice parameters (Å, degrees): 9.891 9.891 6.339 90.00 90.00 90.00
Space group I4/m (No. 87)
One atom of each set of equivalent atoms:
Nd1 0.000 0.000 0.000 x2
Nd2 0.092 0.259 0.500 x8
Co1 0.000 0.000 0.500 x2
Te1 0.087 0.309 0.000 x8

No. 2
Calculated powder diffractogram
Compound: Fe3CoH7
Radiation: Cu Ka
Structure: a DFT-relaxed cell (GGA-PBE, Alexandria)
Peak positions follow from Bragg's law for the DFT cell and can differ from measured ones.

Main lines, most intense first (10 to 90 degrees two-theta):
d_spacing, 2θ/deg, I/Imax
2.310, 38.98, 100
2.015, 44.99, 40
2.345, 38.38, 35
1.995, 45.45, 19
1.427, 65.42, 13
1.409, 66.33, 13
1.214, 78.85, 11
1.222, 78.19, 7
1.212, 79.04, 7
1.208, 79.30, 7
1.204, 79.60, 7
1.431, 65.18, 7

Lattice parameters (Å, degrees): 5.726 5.673 4.872 90.00 124.99 90.00
Space group Cm (No. 8)
One atom of each set of equivalent atoms:
Fe1 0.000 0.000 0.000 x2
Fe2 0.002 0.253 0.511 x4
Co1 0.015 0.500 0.019 x2
H1 0.129 0.252 0.258 x4
H2 0.129 0.500 0.765 x2
H3 0.369 0.000 0.234 x2
H4 0.374 0.239 0.763 x4
H5 0.383 0.500 0.271 x2

No. 3
Calculated powder diffractogram
Compound: KAc4Au5
Radiation: Cu Ka
Structure: a DFT-relaxed cell (GGA-PBE, Alexandria)
Peak positions follow from Bragg's law for the DFT cell and can differ from measured ones.

Main lines, most intense first (10 to 90 degrees two-theta):
d_spacing, 2θ/deg, I/Imax
2.799, 31.97, 100
2.767, 32.36, 54
1.604, 57.47, 39
1.956, 46.41, 20
1.622, 56.74, 15
1.237, 77.08, 9
1.400, 66.85, 9
2.540, 35.34, 9
1.240, 76.87, 8
2.003, 45.27, 7
1.383, 67.74, 7
6.676, 13.26, 5

Lattice parameters (Å, degrees): 3.913 3.913 20.029 90.00 90.00 90.00
Space group P4/mmm (No. 123)
One atom of each set of equivalent atoms:
K1 0.000 0.000 0.000 x1
Ac1 0.000 0.000 0.205 x2
Ac2 0.000 0.000 0.403 x2
Au1 0.500 0.500 0.122 x2
Au2 0.500 0.500 0.304 x2
Au3 0.500 0.500 0.500 x1

No. 4
Calculated powder diffractogram
Compound: ZrCoPb2
Radiation: Cu Ka
Structure: a DFT-relaxed cell (GGA-PBE, Alexandria)
Peak positions follow from Bragg's law for the DFT cell and can differ from measured ones.

Main lines, most intense first (10 to 90 degrees two-theta):
d_spacing, 2θ/deg, I/Imax
2.463, 36.48, 100
2.515, 35.71, 76
2.730, 32.80, 58
4.320, 20.56, 41
2.160, 41.83, 35
1.694, 54.15, 28
2.625, 34.16, 25
1.508, 61.50, 22
2.998, 29.80, 16
2.403, 37.42, 16
2.100, 43.08, 14
1.298, 72.88, 13

Lattice parameters (Å, degrees): 3.341 4.320 6.062 90.00 98.43 90.00
Space group P2/m (No. 10)
One atom of each set of equivalent atoms:
*/
### Worked solution
5